Work order:
Could you transcribe only the lines below with the word "I7" in them?

Input:
+++
1.
For Sm2TeI, a DFT-relaxed cell (PBE, Alexandria) gives the theoretical X-ray diffraction stick pattern in this record (a wavelength of 1.5418 Å).
Peak positions follow from Bragg's law for the DFT cell and can differ from measured ones.

Main lines, by intensity (2θ from 15° to 90°):
two_theta, intensity
30.62, 100
35.22, 54
44.11, 48
26.01, 33
62.85, 31
54.65, 19
42.42, 17
72.75, 16
43.59, 15
28.73, 13

Structural model:
Cell lengths 8.8479, 8.8479, 8.8479 Å; angles 26.83, 26.83, 26.83 degrees
Positions (direct):
Sm1 0.0000 0.0000 0.0000
Sm2 0.1766 0.1766 0.1766
Te1 0.5887 0.5887 0.5887
I1 0.7550 0.7550 0.7550


2.
For Sm5Te4I, a DFT-relaxed cell (PBE, Alexandria) gives the theoretical X-ray diffraction stick pattern in this record (a wavelength of 1.5418 Å).
Peak positions follow from Bragg's law for the DFT cell and can differ from measured ones.

Main lines, by intensity (2θ from 15° to 90°):
two_theta, intensity
28.60, 100
40.30, 67
27.80, 46
40.89, 38
50.16, 36
74.06, 22
67.04, 17
66.63, 15
59.20, 13
65.39, 9

Structural model:
Cell lengths 16.3484, 16.3484, 16.3484 Å; angles 164.48, 164.48, 22.01 degrees
Positions (direct):
Sm1 0.0000 0.0000 0.0000
Sm2 0.1914 0.1914 0.0000
Sm3 0.3917 0.3917 0.0000
Sm4 0.6083 0.6083 0.0000
Sm5 0.8086 0.8086 0.0000
Te1 0.0958 0.0958 0.0000
Te2 0.2940 0.2940 0.0000
Te3 0.7060 0.7060 0.0000
Te4 0.9042 0.9042 0.0000
I1 0.5000 0.5000 0.0000


3.
For SmVI, a DFT-relaxed cell (PBE, Alexandria) gives the theoretical X-ray diffraction stick pattern in this record (a wavelength of 1.5418 Å).
Peak positions follow from Bragg's law for the DFT cell and can differ from measured ones.

Main lines, by intensity (2θ from 15° to 90°):
two_theta, intensity
31.49, 100
31.05, 80
27.09, 80
33.74, 67
40.23, 60
16.72, 37
37.50, 35
54.06, 33
62.96, 31
43.10, 29

Structural model:
Cell lengths 10.7840, 10.7840, 4.1979 Å; angles 90.00, 90.00, 159.03 degrees
Positions (direct):
Sm1 0.0881 0.9119 0.7500
Sm2 0.9119 0.0881 0.2500
V1 0.4788 0.5212 0.7500
V2 0.5212 0.4788 0.2500
I1 0.3337 0.6663 0.7500
I2 0.6663 0.3337 0.2500


4.
For SnI4, a DFT-relaxed cell (PBE, Alexandria) gives the theoretical X-ray diffraction stick pattern in this record (a wavelength of 1.5418 Å).
Peak positions follow from Bragg's law for the DFT cell and can differ from measured ones.

Main lines, by intensity (2θ from 15° to 90°):
two_theta, intensity
23.40, 100
38.67, 53
45.69, 37
16.49, 33
27.08, 28
15.04, 15
46.78, 12
61.36, 11
69.99, 11
34.73, 9

Structural model:
Cell lengths 13.1709, 13.1709, 13.1709 Å; angles 90.00, 90.00, 90.00 degrees
Positions (direct):
Sn1 0.1345 0.1345 0.1345
Sn2 0.1345 0.3655 0.6345
Sn3 0.3655 0.6345 0.1345
Sn4 0.3655 0.8655 0.6345
Sn5 0.6345 0.1345 0.3655
Sn6 0.6345 0.3655 0.8655
Sn7 0.8655 0.6345 0.3655
Sn8 0.8655 0.8655 0.8655
I1 0.0030 0.2467 0.5296
I2 0.0030 0.2533 0.0296
I3 0.0296 0.0030 0.2533
I4 0.0296 0.4970 0.7533
I5 0.2467 0.5296 0.0030
I6 0.2470 0.7470 0.7530
I7 0.2470 0.7530 0.2530
I8 0.2467 0.9704 0.5030
I9 0.2533 0.0296 0.0030
I10 0.2530 0.2470 0.7530
I11 0.2530 0.2530 0.2530
I12 0.2533 0.4704 0.5030
I13 0.4704 0.5030 0.2533
I14 0.4704 0.9970 0.7533
I15 0.4970 0.7467 0.5296
I16 0.4970 0.7533 0.0296
I17 0.5030 0.2467 0.9704
I18 0.5030 0.2533 0.4704
I19 0.5296 0.0030 0.2467
I20 0.5296 0.4970 0.7467
I21 0.7467 0.5296 0.4970
I22 0.7470 0.7470 0.7470
I23 0.7470 0.7530 0.2470
I24 0.7467 0.9704 0.9970
I25 0.7533 0.0296 0.4970
I26 0.7530 0.2470 0.7470
I27 0.7530 0.2530 0.2470
I28 0.7533 0.4704 0.9970
I29 0.9704 0.5030 0.2467
I30 0.9704 0.9970 0.7467
I31 0.9970 0.7467 0.9704
I32 0.9970 0.7533 0.4704


5.
For SnI4, a DFT-relaxed cell (PBE, Alexandria) gives the theoretical X-ray diffraction stick pattern in this record (a wavelength of 1.5418 Å).
Peak positions follow from Bragg's law for the DFT cell and can differ from measured ones.

Main lines, by intensity (2θ from 15° to 90°):
two_theta, intensity
22.29, 100
36.79, 58
43.44, 42
25.79, 29
18.16, 18
50.75, 16
21.33, 15
66.27, 15
58.20, 14
46.96, 13
+++

Response:
I7 0.2470 0.7530 0.2530